Wednesday, April 28, 2010

Does your back hurt when you ride?

If your  lower back hurts when you ride here are a few things to check. Your seat may not be a proper fit for you. A different style seat may alleviate your pain. The position of your foot pegs can also cause lower back pain. Some motorcycles have minimal adjustments for the foot pegs. A different style of peg or "floor board" may also help alleviate your pain. Another factor in lower back pain may be your handlebars. If you reach to far forward you place unnecessary strain on your lower back. The strain may also be caused by a combination of all three factors. Check with the manufacturer of your bike to see what adjustments can be made and if there are optional seat variations, foot peg variations, and handlebar variations. The manufacturer may also have a fit guide for your particular model.

-- Unrelated to this article: data records --
(1)
Density functional theory data (the ωB97M-V functional and the def2-TZVPD basis) for 3 unconnected molecules or ions with the total composition C27H51Cl2FN4O10P2.

Atoms and positions in Å:
C  -3.54158  -4.14921  -1.46263
C  -3.13028  -2.71589  -1.73799
O  -4.08619  -2.09678  -2.60669
P  -4.54763  -0.62600  -2.22280
O  -4.81367  -0.45087  -0.78643
C  -3.44427  0.62484  -2.86514
C  -1.98229  0.45297  -2.44550
C  -1.00936  1.04402  -3.48627
C  -0.32509  -0.01440  -4.23149
C  -0.91902  -0.53949  -5.35446
C  -2.24774  -0.03671  -5.82014
O  -2.24666  1.06898  -6.35005
O  -3.12730  -0.81017  -5.48486
C  -0.22776  -1.51033  -5.97177
F  -0.69210  -2.05933  -7.03180
C  1.00130  -1.94397  -5.53091
P  1.90320  -3.25216  -6.41530
O  1.42653  -4.61326  -6.11743
N  1.54524  -1.44320  -4.46418
N  0.85539  -0.50529  -3.85101
C  1.49254  0.01113  -2.68447
Cl  1.16943  -0.82744  -1.23131
C  2.29795  1.04762  -2.74170
C  3.04119  1.66842  -1.65109
Cl  2.51792  1.79267  -4.28468
O  -5.87996  -0.41776  -3.07575
C  -6.98753  -1.19759  -2.62093
C  -7.97173  -1.27437  -3.75873
H  -3.91904  -4.23705  -0.46493
H  -4.28528  -4.43869  -2.17515
H  -2.67875  -4.77975  -1.54484
H  -2.98801  -2.16473  -0.82655
H  -2.18468  -2.71997  -2.25439
H  -3.79792  1.54371  -2.44302
H  -3.59079  0.69819  -3.92807
H  -1.85926  1.01006  -1.54066
H  -1.73668  -0.56032  -2.19952
H  -0.31787  1.72857  -3.04082
H  -1.56565  1.60133  -4.21240
H  1.80463  -2.90832  -7.76822
H  3.23352  -3.02175  -6.04176
H  2.84701  2.72472  -1.63437
H  2.81187  1.26852  -0.69495
H  4.08780  1.55036  -1.85318
H  -6.67774  -2.18727  -2.34160
H  -7.43976  -0.73394  -1.76463
H  -8.95037  -1.52304  -3.39572
H  -7.64296  -1.99688  -4.47579
H  -8.01334  -0.30720  -4.21516
C  6.24745  -1.99984  3.69859
O  5.21543  -1.39851  4.45268
C  5.61504  -0.31929  5.28316
C  5.21463  1.03017  4.72727
N  5.98159  1.40059  3.54740
C  5.44379  2.50602  2.75512
C  3.99693  2.47839  2.27256
O  3.71537  1.56720  1.22116
C  3.64096  0.19759  1.60209
H  5.87979  -2.96617  3.35888
H  6.52165  -1.41487  2.81348
H  7.14243  -2.16159  4.30467
H  6.68916  -0.36389  5.48627
H  5.09252  -0.45337  6.23317
H  5.37642  1.78468  5.50365
H  4.13675  0.98404  4.52891
H  6.09846  0.59431  2.95291
H  6.07798  2.59888  1.87148
H  5.57828  3.42553  3.33411
H  3.78974  3.46334  1.84977
H  3.28168  2.34427  3.09064
H  3.13757  0.06283  2.56118
H  4.63072  -0.26431  1.62768
H  3.07055  -0.31180  0.81690
C  1.01988  0.86918  5.22822
O  -0.33894  0.90184  5.58813
C  -0.96602  2.17413  5.51942
C  -1.87027  2.32304  4.31568
N  -1.13655  2.42249  3.06023
C  -1.93532  2.21713  1.84932
C  -2.78325  0.95974  1.70310
O  -2.05139  -0.23133  1.46185
C  -1.37971  -0.78270  2.57444
H  1.43461  -0.06459  5.60602
H  1.16822  0.88579  4.14131
H  1.57294  1.70261  5.67400
H  -0.22291  2.97699  5.56253
H  -1.58958  2.25152  6.41266
H  -2.46400  3.23348  4.44369
H  -2.56133  1.47149  4.33298
H  -0.36688  1.77062  3.05899
H  -1.24140  2.23983  1.00475

You bought your ride to enjoy so be comfortable and safe while you ride. Be sure to wear the proper safety gear such as: leather jackets, helmets, leather chaps, motorcycle boots, and gloves.

_Inserted here: calculated molecules_
<<<
{"formula": "C9H10HfN3O4S", "method": "ωB97M-V/def2-TZVPD", "symbols": ["Hf", "O", "C", "O", "C", "C", "C", "C", "C", "N", "C", "O", "O", "H", "H", "H", "H", "C", "N", "C", "N", "S", "H", "H", "H", "H", "H", "H"], "coordinates": [[-0.183167, -1.100282, -0.360455], [3.670273, -2.165612, -1.768193], [2.601747, -1.986580, -1.124757], [1.560902, -1.414806, -1.577271], [2.515973, -2.476378, 0.296157], [3.416779, -3.226681, 1.045857], [3.053192, -3.566247, 2.357604], [1.840903, -3.135189, 2.898984], [0.979984, -2.403782, 2.077334], [1.326301, -2.109945, 0.820862], [-0.412022, -1.857520, 2.437047], [-0.891720, -1.852511, 3.511125], [-1.038323, -1.357582, 1.314187], [3.740027, -1.842813, -2.699505], [4.371078, -3.546473, 0.646032], [3.728329, -4.167739, 2.958147], [1.559727, -3.359099, 3.922192], [-5.050268, -0.359173, 0.856858], [-3.752156, -0.433078, 0.195583], [-3.464734, 0.214863, -0.906327], [-4.293377, 1.020782, -1.518911], [-1.871363, -0.008641, -1.740553], [-5.013847, -0.950574, 1.767327], [-5.838584, -0.765242, 0.221533], [-5.300610, 0.667763, 1.123453], [-3.062397, -1.037727, 0.641337], [-5.227347, 1.210337, -1.167195], [-4.055681, 1.465022, -2.399451]], "forces_ev_per_a": [[-0.104, 0.892, -2.042], [0.396, -0.103, -0.145], [-0.160, -0.159, 0.457], [-0.240, 0.080, 0.280], [0.331, -0.351, 0.269], [-0.256, 0.374, -0.489], [-0.259, 0.132, 0.136], [-0.211, 0.175, -0.127], [0.077, -0.093, 0.153], [0.291, -0.264, 0.403], [0.580, -0.809, 1.620], [0.176, -0.025, -0.437], [0.131, 0.046, -0.281], [-0.280, -0.027, 0.303], [-0.020, 0.039, -0.103], [-0.032, 0.067, -0.020], [-0.009, -0.023, -0.044], [-0.620, 0.099, 0.188], [0.270, -0.174, 0.079], [0.605, -0.409, -0.035], [-0.214, 0.166, -0.140], [-0.486, 0.019, 0.226], [0.055, 0.033, -0.020], [0.064, -0.046, -0.080], [0.100, 0.042, 0.041], [-0.329, 0.455, -0.372], [0.092, -0.074, 0.048], [0.053, -0.065, 0.133]], "mulliken_charge": [1.570, -0.303, 0.588, -0.745, 0.331, -0.423, -0.352, -0.550, 0.558, -0.113, 0.285, -0.345, -0.459, 0.459, 0.532, 0.505, 0.508, -1.122, 0.003, 1.039, -0.343, -0.422, 0.357, 0.425, 0.416, 0.120, 0.246, 0.236], "total_charge": 3, "homo_lumo_gap_ha": 0.2652}

~~~~~

Molecular formula: C23H53IInN6O7
Method: DFT, the ωB97M-V functional and the def2-TZVPD basis

XYZ file:
```
91
Properties=species:S:1:pos:R:3:forces:R:3
C 0.25274 -3.47389 -5.60805 -2.19 1.54 -0.92
C -0.94351 -2.65680 -6.05534 1.94 -3.41 0.13
In -2.34183 -1.85231 -4.40212 0.76 -0.04 -0.75
I -4.83537 -3.13655 -4.74170 -0.05 0.06 0.17
C -1.39203 -2.36478 -2.44919 -0.42 -2.32 1.07
O -0.59813 -1.38386 -1.74769 -0.41 1.40 -1.27
C -0.47093 -0.08106 -2.38330 1.78 1.81 0.81
C 0.66589 -0.02703 -3.61044 -1.46 -0.75 -0.74
H 0.04279 -4.55310 -5.15895 0.48 2.94 0.46
H 1.36238 -3.07182 -5.62866 -2.10 -1.40 -1.18
H -1.14072 -2.43349 -7.19342 1.57 1.07 2.26
H -2.44321 -0.04036 -4.61367 -0.25 -0.80 -0.18
H -0.70994 -3.33112 -2.61200 -1.30 1.92 0.28
H -2.24953 -2.73410 -1.70491 1.66 0.76 -1.34
H -0.00529 0.64274 -1.55247 -1.08 -1.73 -1.53
>>>

Sunday, April 25, 2010

Grand Opening


Expect the unexpected

We had severe storm warnings and tornado warnings the other night. Reminded me of the ride my husband made from central Florida to Texas in September of 2009. He rode his 2006 Harley-Davidson Sportster 883 all the way. According to the weather forecasteres it was to be sunny and great weather all the way. Along the way as he refueled he would call and let me know how far he had gone. Smooth sailing through Florida, Alabama rain all the way. Well let's just say that the rain didn't stop until he arrived in Texas. One of the last calls I received was from the Louisiana/Texas border. My cell phone beeped that I had a text message with a photo. I saw it was from my husband and I excitedly opened it to see what he had sent me. The image popped up and here is this extremely greenish-grey sky with a tornado smack dab in the middle. I quickly called him and made sure he was ok. Luckily he was able to get to safety before the tornado touched down. He then proceeded to tell me that several trees around the structure he was in had fallen over or had broken branches. After the skies cleared of the green he continued his travels on to Texas.

The most important lesson we learned was to expect the unexpected with mother nature. If you encounter a tornado or severe weather take cover in a structure. If you cannot get to an enclosed structure head for an underpass. Once at the underpass climb up toward the top of the structure and take cover in between the supports that are there. Leave all of your riding gear on. Your helmet will protect your face from any flying debris, your jacket and gloves will protect your upper body and hands as well.

No matter how much you plan you will always have something unexpected come up. Deal with it in a calm and rational manner and you will be just fine.

# Someone pasted data records at this point
........
{"formula": "C14H36NO5PSSi2", "method": "the ωB97M-V functional and the def2-TZVPD basis", "e_above_lowest_kj_mol": 0.0, "homo_ev": -8.500, "multiplicity": 1, "orbital_gap_ev": 9.20, "elements": ["C", "C", "O", "C", "C", "C", "C", "C", "Si", "O", "Si", "C", "S", "C", "C", "P", "N", "O", "O", "H", "H", "H", "H", "H", "H", "H", "H", "H", "H", "H", "H", "H", "H", "H", "H", "H", "H", "H", "H", "H", "H", "H", "H", "H", "H", "H", "H", "C", "C", "C", "O", "C", "H", "H", "H", "H", "H", "H", "H", "H"], "coordinates": [[-3.059, 0.148, -4.463], [-1.841, 0.303, -3.552], [-2.100, -0.089, -2.203], [-2.263, -1.495, -2.046], [-2.027, -1.901, -0.583], [-3.026, -1.256, 0.415], [-2.638, -1.245, 1.925], [-1.181, -0.839, 2.256], [-1.027, 1.005, 2.086], [0.565, 1.510, 2.041], [1.136, 2.545, 0.892], [2.645, 3.466, 1.513], [2.289, 5.123, 2.183], [1.202, 4.702, 3.587], [-0.280, 5.083, 3.408], [1.596, 1.404, -1.012], [1.323, 2.263, -2.287], [3.101, 0.770, -0.956], [0.766, 0.002, -0.983], [-2.867, 0.641, -5.426], [-3.936, 0.620, -4.003], [-3.289, -0.904, -4.672], [-0.995, -0.286, -3.949], [-1.519, 1.351, -3.499], [-1.539, -2.005, -2.708], [-3.272, -1.802, -2.370], [-0.983, -1.660, -0.341], [-2.144, -2.995, -0.520], [-3.964, -1.828, 0.329], [-3.263, -0.235, 0.091], [-3.302, -0.508, 2.413], [-2.888, -2.209, 2.391], [-0.925, -1.084, 3.300], [-0.443, -1.363, 1.638], [-1.687, 1.653, 3.244], [-1.656, 1.486, 0.833], [0.072, 3.474, 0.460], [3.352, 3.632, 0.686], [3.162, 2.869, 2.281], [1.312, 3.627, 3.785], [1.629, 5.219, 4.459], [-0.462, 6.116, 3.734], [-0.585, 5.012, 2.354], [-0.931, 4.423, 3.994], [0.993, 3.205, -2.118], [3.606, 1.135, -1.692], [-0.132, 0.158, -1.314], [3.490, -3.853, -0.439], [2.449, -2.926, -1.064], [1.195, -3.780, -0.975], [1.335, -4.577, 0.202], [2.681, -4.501, 0.678], [4.371, -3.331, -0.067], [3.817, -4.606, -1.160], [2.345, -2.017, -0.470], [2.680, -2.632, -2.087], [1.100, -4.438, -1.847], [0.282, -3.186, -0.888], [2.709, -3.891, 1.588], [3.017, -5.508, 0.928]], "forces_ev_per_a": [[0.04, 0.06, 0.03], [-0.04, 0.04, -0.19], [0.40, -0.12, 0.13], [-0.17, -0.25, 0.14], [-0.21, 0.17, 0.07], [0.00, -0.13, -0.14], [-0.11, 0.04, -0.08], [0.05, -0.09, -0.01], [0.25, -0.10, 0.06], [-0.24, 0.22, -0.11], [0.30, -0.12, 0.18], [0.14, 0.00, 0.08], [-0.06, -0.12, 0.06], [-0.08, -0.04, 0.31], [0.06, 0.07, -0.20], [-0.05, -0.27, -0.53], [0.23, -0.35, 0.36], [-0.74, 0.24, 0.11], [0.49, 0.53, 0.14], [-0.03, -0.11, 0.22], [0.17, -0.10, -0.11], [0.04, 0.22, 0.10], [-0.16, 0.16, 0.13], [-0.10, -0.26, 0.01], [-0.13, 0.01, 0.25], [0.18, 0.12, 0.08], [-0.33, -0.04, 0.07], [0.24, 0.24, -0.04], [0.15, 0.28, 0.04], [0.20, -0.17, 0.03], [0.02, -0.32, -0.10], [0.20, 0.16, -0.20], [-0.19, -0.02, -0.25], [-0.15, 0.08, 0.05], [-0.02, 0.02, -0.05], [-0.06, 0.00, 0.01], [0.03, 0.04, -0.02], [-0.18, -0.08, 0.22], [-0.07, 0.11, -0.30], [-0.01, 0.27, -0.13], [-0.18, -0.17, -0.21], [0.05, -0.25, -0.13], [0.10, -0.04, 0.32], [0.15, 0.13, -0.03], [0.02, -0.04, -0.03], [0.05, 0.04, -0.10], [-0.38, -0.02, -0.19], [0.00, -0.01, -0.01], [0.11, 0.00, -0.01], [-0.09, 0.09, -0.01], [-0.02, 0.00, 0.03], [0.02, -0.02, -0.01], [-0.01, 0.01, 0.00], [-0.01, 0.00, 0.01], [-0.04, -0.01, -0.02], [0.01, 0.01, 0.01], [0.00, -0.01, 0.00], [0.13, -0.11, -0.03], [-0.01, 0.00, 0.00], [0.00, 0.01, 0.00]]}
........

Thursday, April 22, 2010

Be good to Mother Earth

Happy Earth Day! Great day out there for a ride. Do your part for Mother Earth today. Ride safe and enjoy the day.

Make sure you have all your safety gear on. You don't have to worry about yourself but the guy next to you. He is multi-tasking on his way to work. Drinking his coffee, reading the newspaper and shaving. :)